Preventing/Limiting Group Message Archiving

Hello! I help run an education forum in which we have a help group where students can message staff members for specific assignment questions.

Recently we’ve been seeing most of the messages in the group get archived, so they don’t show up in the regular group inbox. Despite the “Archive” tooltip saying “Move message to your archive”, it archives the message for the entire group.

Is there a way to disable archiving for group messages or to limit this action to staff members?

EDIT: For clarification, we think that staff members are archiving the message after viewing/responding, but we would rather keep the message thread open so the other 100+ staff members can still see the thread.

Maybe you want a private category instead of group messaging? I find group messaging is best for a helpdesk type scenario, where messages get archived once resolved.


This sounds like more of a need to adhere to a process for handling these messages than a need for a new feature.

We use group inboxes here to handle support for our hosting customers and we archive when a message has been handled. That message will pop back into the inbox of there’s another reply, though.

I have a few thoughts that might help —

  • archived messages will still show as unread for any user who has not read them. A possible workflow is to have users browse the archive for unread messages.
  • some of us here want to keep up on all the message history, and one way we do that is through setting the group inbox to Watching. This will notify you of every message added to those topics. Then each user can use their notifications tab in their user profile to catch up on unread topics.

No. 1
An isolated molecule of C4H5ClN2, computed with wB97M-V/def2-TZVPD.

Geometry as XYZ:
```
12
Properties=species:S:1:pos:R:3:forces:R:3
C -0.147792 0.583991 -1.090155 -0.2668 0.4210 -1.1030
C -0.237361 -0.013310 0.057871 -2.1113 -0.6884 -2.4823
C -2.678469 -0.405146 -0.762573 2.4632 0.4337 1.1403
C 0.287567 -0.637150 1.242035 -0.0365 2.6153 0.5637
N -2.530210 0.371283 -1.705127 -0.5244 -0.7366 0.2466
N -1.320208 0.891074 -1.973620 0.0254 0.4849 -0.4392
Cl -3.869026 -1.460417 -0.279817 -0.5100 -0.0991 0.0433
H 0.793426 0.719674 -1.656130 -0.5515 0.4032 0.4839
H -0.279729 -1.432656 1.559271 -1.6673 -1.7692 0.7364
H 1.286463 -0.962675 1.358280 1.5076 -0.0846 -0.7760
H 0.166721 0.198779 1.937386 0.0700 -0.4159 0.7666
H -1.551712 1.739104 -2.524966 1.6017 -0.5642 0.8198
```
Positions in Å, forces in eV/Å.

## Properties
Spin multiplicity: 1
Kohn-Sham gap (alpha / beta) (Eh): 0.302 / 0.299



No. 2
An isolated molecule of C4H5ClN2O, computed with wB97M-V/def2-TZVPD.

Geometry as XYZ:
```
13
Properties=species:S:1:pos:R:3:forces:R:3
C 2.713587 -1.142766 -0.018292 1.3778 -0.2316 0.6204
C 3.219867 0.062300 0.100006 -1.8531 -0.1705 -0.2854
C 1.423795 -1.712315 0.289335 -1.1211 2.2661 -0.8938
C -0.884217 1.011433 0.098253 -2.8115 -0.0269 -1.6923
N 0.334261 -0.847796 0.171586 -2.4008 -1.9311 2.1537
N 0.276369 0.356145 -0.238319 3.0636 1.6117 -2.4229
O 1.272169 -2.870918 0.526811 -0.3566 -1.3985 0.6596
Cl 4.566776 0.885431 -0.264196 0.9516 0.2598 -0.0361
H 3.305830 -2.030098 -0.047056 1.3800 -0.3327 -0.5947
H -1.232258 0.632061 1.028950 -0.6286 0.2119 1.3912
H -0.670873 2.050202 0.070752 -0.1662 1.0182 0.3865
H -1.820020 0.858768 -0.626808 1.9158 0.0437 0.9413
H -0.499484 -1.030017 0.756427 0.6492 -1.3201 -0.2274
```
Positions in Å, forces in eV/Å.

## Properties
Spin multiplicity: 1
Kohn-Sham gap (alpha / beta) (Eh): 0.314 / 0.263



> What is the spin multiplicity in the second record?

1

* * * * *

Record 1
{
  "formula": "C18H19BrF3O4TeTi",
  "method": "wB97M-V/def2-TZVPD",
  "species": ["Te", "Br", "Ti", "F", "F", "F", "O", "O", "O", "O", "C", "C", "C", "C", "C", "C", "C", "C", "C", "C", "C", "C", "C", "C", "C", "C", "C", "C", "H", "H", "H", "H", "H", "H", "H", "H", "H", "H", "H", "H", "H", "H", "H", "H", "H", "H", "H"],

You could also explore using a private category as well like @tobiaseigen suggested.

Hope that helps!


We considered this, but students shouldn’t be able to see help messages posted by other students (due to these types of posts tending to contain assignment content, which can’t be shared). AFAIK, there’s no way to set up a private category where users can post topics and see their own posts, but not see or contribute towards other posts unless they are a certain trust level.

I didn’t know this, thank you!

Some of the staff members do make use of this (myself included), but lots of them are less active and choose a lower notification level. The archiving issue we’ve been having hasn’t been going on for very long so I’m not sure how much it’s affecting staff with a lower notification level. I’ll try to find out :slight_smile:


I think I’m beginning to understand your use case a little better - it’s not so different from my own. The main difference is that our helpdesk team only has about 5 people in it (goes up and down throughout the year as staff come and go) and otherwise we discourage the use of discourse group messaging for everyone else even our staff of 150+. For those we use private categories. We also invite specific colleagues from time to time in messages to get help responding to helpdesk messages.

The reason for this is that people tend to confuse discourse group messaging with email - even though it is similar it is different enough that people get confused and even a bit frustrated. That said, group messaging is improving and I am understanding better how it works and what it is good for, so maybe at some point we’ll expand its use in our organization.

Recently I delegated the helpdesk to colleagues, and changed my own notification level from watching to tracking. Watching turned out to be a bit much - once you get more than a few people responding to group messages your notifications (and maybe your head) will explode. :exploding_head:

Now I make a point of looking in the group inbox and archive once or twice a day, and look for the blue dot next to the messages I haven’t seen yet - works great. I can spot check the messages and add any follow up that might be needed. My colleagues might mention me in a whisper or assign a message to me and then I can respond more quickly. They can also add more people to the message and ask them to respond.

Since you have 100+ people expected to monitor the group messages, you could also have them track the messages and remind them to look in the archive.

Another idea would be to create some more groups to separate out the people who are doing most of the answering and archiving. 100 people is alot to have in one group anyway if you want them to feel accountable and engaged. We have one “all staff” group of 150+ and only really use that for announcements and to give access to a few private categories.